[To do]
Count the lines below that contain the word "Sr6Te3Se2Br" and give the number alone.

[Entries]
'''
# 1
Theoretical powder diffractogram
Compound: Sn2Se2Br
Radiation: λ = 1.5418 Å (Cu Kα)
Structure: a crystal structure in Alexandria, relaxed with PBE

Crystal structure
Lattice parameters (Å, degrees): 4.169 5.775 12.783 90.00 90.00 90.00
Fractional coordinates of all 10 atoms:
Sn1 0.250 0.250 0.097
Sn2 0.250 0.250 0.742
Sn3 0.750 0.750 0.258
Sn4 0.750 0.750 0.903
Se1 0.250 0.750 0.085
Se2 0.250 0.750 0.752
Se3 0.750 0.250 0.248
Se4 0.750 0.250 0.915
Br1 0.250 0.750 0.409
Br2 0.750 0.250 0.591

Top 8 peaks for 10° ≤ 2θ ≤ 80°, sorted by position:
20.73°, 4.285 Å, intensity 181
29.98°, 2.980 Å, intensity 1000
30.97°, 2.887 Å, intensity 452
42.43°, 2.131 Å, intensity 172
43.41°, 2.085 Å, intensity 179
43.65°, 2.074 Å, intensity 686
53.45°, 1.714 Å, intensity 175
54.28°, 1.690 Å, intensity 186

=====

# 2
Theoretical powder diffractogram
Compound: Sn4Se4Br
Radiation: λ = 1.5418 Å (Cu Kα)
Structure: a crystal structure in Alexandria, relaxed with PBE

Crystal structure
Lattice parameters (Å, degrees): 7.395 7.395 7.395 99.19 99.19 132.90
Fractional coordinates of all 9 atoms:
Sn1 0.093 0.686 0.779
Sn2 0.314 0.093 0.407
Sn3 0.686 0.907 0.593
Sn4 0.907 0.314 0.221
Se1 0.190 0.401 0.592
Se2 0.401 0.810 0.211
Se3 0.599 0.190 0.789
Se4 0.810 0.599 0.408
Br1 0.000 0.000 0.000

Top 8 peaks for 10° ≤ 2θ ≤ 80°, sorted by position:
13.06°, 6.779 Å, intensity 257
29.46°, 3.032 Å, intensity 1000
30.25°, 2.955 Å, intensity 482
42.15°, 2.144 Å, intensity 404
42.73°, 2.116 Å, intensity 729
52.76°, 1.735 Å, intensity 421
70.96°, 1.328 Å, intensity 169
77.45°, 1.232 Å, intensity 240

=====

# 3
Theoretical powder diffractogram
Compound: Sr6Te3Se2Br
Radiation: λ = 1.5418 Å (Cu Kα)
Structure: a crystal structure in Alexandria, relaxed with PBE

Crystal structure
Lattice parameters (Å, degrees): 10.271 10.271 9.194 102.46 102.46 25.92
Fractional coordinates of all 12 atoms:
Sr1 0.006 0.006 0.258
Sr2 0.329 0.329 0.902
Sr3 0.330 0.330 0.425
Sr4 0.670 0.670 0.575
Sr5 0.671 0.671 0.098
Sr6 0.994 0.994 0.742
Te1 0.162 0.162 0.835
Te2 0.500 0.500 0.500
Te3 0.838 0.838 0.165
Se1 0.167 0.167 0.332
Se2 0.833 0.833 0.668
Br1 0.500 0.500 0.000

Top 8 peaks for 10° ≤ 2θ ≤ 80°, sorted by position:
27.41°, 3.254 Å, intensity 1000
39.06°, 2.306 Å, intensity 381
39.25°, 2.295 Å, intensity 373
48.42°, 1.880 Å, intensity 136
56.57°, 1.627 Å, intensity 124
63.81°, 1.459 Å, intensity 112
64.15°, 1.452 Å, intensity 110
70.78°, 1.331 Å, intensity 83

=====

Starting from DFT lattice parameters and positions (PBE), the XRD peak list of HoEr2LuIn2 was calculated for Cu Kα, 1.54184 Å.
Lines closer than 0.1° are merged.

Crystal structure
abc: 5.3303 5.3303 6.6702
angles: 90.00 90.00 120.00
Space group P-6m2 (No. 187)
Asymmetric unit:
1 Ho 0.0000 0.0000 0.0000
2 Er 0.6667 0.3333 0.2506
3 Lu 0.3333 0.6667 0.5000
4 In 0.0000 0.0000 0.5000
5 In 0.3333 0.6667 0.0000

Top 10 peaks for 10 to 80 degrees two-theta, in order of rising 2θ:
- (1 0 1), 2θ 23.44, rel. 4.6
- (1 0 2), 2θ 33.14, rel. 97.2
- (1 1 0), 2θ 33.63, rel. 100.0
- (1 1 2), 2θ 43.46, rel. 6.9
- (2 0 2), 2θ 47.93, rel. 34.6
- (0 0 4), 2θ 55.07, rel. 8.1
- (2 1 2), 2θ 59.82, rel. 35.7
- (3 0 0), 2θ 60.13, rel. 18.7
- (1 1 4), 2θ 66.10, rel. 28.1
- (2 2 0), 2θ 70.69, rel. 11.5
'''

[Solution]
1